The Magic Tricks of Testing
Summarized using AI

The Magic Tricks of Testing

by Sandi Metz

In the talk "The Magic Tricks of Testing" by Sandi Metz at Rails Conf 2013, the speaker explores the complexities and pitfalls of software testing. She addresses a common dilemma in the programming community, where tests often become burdensome, mismanaged, and costly rather than serving their intended purpose of ensuring code stability and reliability. Metz aims to simplify testing strategies by sharing effective methods for writing tests that are not only efficient but also maintainable.

Key points discussed include:
- Common Frustrations with Testing: Metz acknowledges that many developers express a distaste for their tests, citing reasons such as productivity loss due to slow tests and frequent failures after minor code changes. This often leads to a cycle where developers either write too few tests or none at all.

Inserted here: data records =
........
The following is a PBE-GGA calculation of an optimized crystal structure of TaZnCoSi, from OQMD.

excess energy over the best structure of this formula in the dataset: 0.000 eV/atom
SG: No. 216
calculated volume: 13.74 A^3/atom
final energy: -25.4 eV per cell

Cell: 4.2674 4.2674 4.2674 Å, 60.00 60.00 60.00°
Each line ends with the local moment (μB).
Atoms (fractional coordinates):
1 Co 0.7500 0.7500 0.7500  0.79
2 Si 0.0000 0.0000 0.0000  0.01
3 Ta 0.2500 0.2500 0.2500  0.31
4 Zn 0.5000 0.5000 0.5000  0.00

---

The following is a PBE-GGA calculation of an optimized crystal structure of TaZnCoSi, from OQMD.

excess energy over the best structure of this formula in the dataset: 0.027 eV/atom
SG: No. 216
calculated volume: 13.68 A^3/atom
final energy: -25.3 eV per cell

Cell: 4.2611 4.2611 4.2611 Å, 60.00 60.00 60.00°
Atoms (fractional coordinates):
1 Co 0.7500 0.7500 0.7500
2 Si 0.0000 0.0000 0.0000
3 Ta 0.5000 0.5000 0.5000
4 Zn 0.2500 0.2500 0.2500

---

The following is a PBE-GGA calculation of an optimized crystal structure of Tb3CoSi3, from OQMD.

SG: No. 12
calculated volume: 19.75 A^3/atom
final energy: -85.4 eV per cell

Cell: 5.6585 5.6585 13.4963 Å, 109.55 109.55 43.31°
Atoms (fractional coordinates):
1 Co 0.7530 0.7530 0.0818
2 Co 0.2470 0.2470 0.9182
3 Si 0.1412 0.1412 0.0436
4 Si 0.9463 0.9463 0.2588
5 Si 0.8865 0.8865 0.4241
6 Si 0.1135 0.1135 0.5759
7 Si 0.0537 0.0537 0.7412
8 Si 0.8588 0.8588 0.9564
9 Tb 0.4748 0.4748 0.1205
10 Tb 0.2530 0.2530 0.2710
11 Tb 0.6006 0.6006 0.4197
12 Tb 0.3994 0.3994 0.5803
13 Tb 0.7470 0.7470 0.7290
14 Tb 0.5252 0.5252 0.8795

---

The following is a PBE-GGA calculation of an optimized crystal structure of TbCo9Si4, from OQMD.

SG: No. 140
calculated volume: 12.03 A^3/atom
final energy: -193.9 eV per cell

Cell: 7.6903 7.6903 7.8734 Å, 119.23 119.23 90.00°
Each line ends with the local moment (μB).
Atoms (fractional coordinates):
1 Co 0.5000 0.0000 0.0000  -0.05
2 Co 0.8015 0.0701 0.0000  0.00
3 Co 0.0701 0.1985 0.0000  0.00
4 Co 0.5701 0.3015 0.0000  0.00
5 Co 0.3015 0.4299 0.0000  -0.01
6 Co 0.0000 0.5000 0.0000  -0.05
7 Co 0.6985 0.5701 0.0000  -0.01
8 Co 0.4299 0.6985 0.0000  0.00
9 Co 0.9299 0.8015 0.0000  0.00
10 Co 0.1985 0.9299 0.0000  0.00
11 Co 0.5494 0.0494 0.3609  -0.07
12 Co 0.8115 0.3115 0.3609  -0.07
13 Co 0.3115 0.5494 0.3609  -0.07
14 Co 0.0494 0.8115 0.3609  -0.07
15 Co 0.9506 0.1885 0.6391  -0.07
16 Co 0.6885 0.4506 0.6391  -0.07
17 Co 0.1885 0.6885 0.6391  -0.07
18 Co 0.4506 0.9506 0.6391  -0.07
19 Si 0.4535 0.2907 0.2443  0.00
20 Si 0.9535 0.4535 0.2443  0.00
21 Si 0.2907 0.7907 0.2443  0.00
22 Si 0.7907 0.9535 0.2443  0.00
23 Si 0.2093 0.0465 0.7557  0.00
24 Si 0.7093 0.2093 0.7557  0.00
25 Si 0.0465 0.5465 0.7557  0.00
26 Si 0.5465 0.7093 0.7557  0.00
27 Tb 0.2500 0.2500 0.5000  0.01
28 Tb 0.7500 0.7500 0.5000  0.01


Material: Pm3TeRhBr
Method: DFT, GGA-PBE
State: relaxed

Unit cell a=8.054 b=4.277 c=10.306 alpha=90.00 beta=109.52 gamma=90.00
Positions (direct):
........

- Goals of Unit Testing: Good unit tests should be thorough, stable, fast, and minimal. This requires a clear understanding of the application’s architecture, including the identification of messages exchanged between objects.

- Types of Messages: Metz categorizes messages as incoming (queries and commands) and outgoing, explaining the significance of understanding these distinctions for effective testing. Each category has specific rules governing how they should be tested.

- Testing Strategies: Metz provides a grid for unit testing best practices that outlines when to use specific types of assertions based on the nature of messages. For example, she emphasizes that
- Incoming query messages should be tested by asserting their return values and without binding them to internal implementations.
- Command messages invoke side effects and should be tested by asserting the expected changes they cause, not just the messages sent.

- Minimizing Redundancy: By focusing on the minimal set of tests necessary for coverage, developers can avoid unnecessary complexity in their testing suites.

- Embracing Mocks: The use of mocks is discussed as a means to streamline tests, enabling rapid feedback and refactoring without the risk of cascading failures due to extensive dependencies.

-- begin --
[1]
The following is a PBE calculation of an optimized crystal structure of LaI, from the Alexandria database.

Lattice parameters (Å, degrees): 3.9638 3.9638 3.9638 90.00 90.00 90.00
Closest atoms and distances in Å follow each position.
Positions (direct):
La: 0.0000 0.0000 0.0000  8 I 3.43
I: 0.5000 0.5000 0.5000  8 La 3.43

Calculated values
Total DFT energy (no corrections) ... -8.3 eV per formula unit
DOS at the Fermi energy ... 0.82 states/eV/atom
V ... 31.14 Å³ per atom

=====

[2]
The following is a PBE calculation of an optimized crystal structure of BaNaIrS3, from the Alexandria database.

Lattice parameters (Å, degrees): 7.3713 7.3713 6.7322 90.00 90.00 123.56
Closest atoms and distances in Å follow each position.
Positions (direct):
Ba: 0.2101 0.7899 0.7500  1 Ir 3.38, 8 S 3.38-3.56
Ba: 0.7899 0.2101 0.2500  1 Ir 3.38, 8 S 3.38-3.56
Na: 0.4380 0.5620 0.2500  5 S 2.64-2.74
Na: 0.5620 0.4380 0.7500  5 S 2.64-2.74
Ir: 0.0497 0.9503 0.2500  5 S 2.33-2.40
Ir: 0.9503 0.0497 0.7500  5 S 2.33-2.40
S: 0.2124 0.2124 0.0000  2 Ir 2.33
S: 0.2124 0.2124 0.5000  2 Ir 2.33
S: 0.2346 0.7654 0.2500  1 Ir 2.40, 1 Na 2.64
S: 0.7654 0.2346 0.7500  1 Ir 2.40, 1 Na 2.64
S: 0.7876 0.7876 0.0000  2 Ir 2.33
S: 0.7876 0.7876 0.5000  2 Ir 2.33

Calculated values
Total DFT energy (no corrections) ... -29.8 eV per formula unit
DOS at the Fermi energy ... 0.48 states/eV/atom
V ... 25.40 Å³ per atom

=====

[3]
The following is a PBE calculation of an optimized crystal structure of Ac6Mg2Al, from the Alexandria database.

Lattice parameters (Å, degrees): 9.6514 9.6514 9.6514 111.54 109.94 106.96
Closest atoms and distances in Å follow each position.
Positions (direct):
Ac: 0.0658 0.2433 0.8224  1 Al 3.54, 3 Mg 3.62-3.71, 1 Ac 3.93
Ac: 0.2372 0.5633 0.3261  3 Mg 3.43-3.62, 1 Al 3.56, 3 Ac 3.78
Ac: 0.2372 0.9111 0.6739  3 Mg 3.43-3.62, 1 Al 3.56, 3 Ac 3.78
Ac: 0.3072 0.2440 0.5511  2 Mg 3.39-3.61, 2 Al 3.40-3.51, 2 Ac 3.78
Ac: 0.3072 0.7560 0.0632  2 Mg 3.39-3.61, 2 Al 3.40-3.51, 2 Ac 3.78
Ac: 0.4209 0.2433 0.1776  1 Al 3.54, 3 Mg 3.62-3.71, 1 Ac 3.93
Ac: 0.5791 0.7567 0.8224  1 Al 3.54, 3 Mg 3.62-3.71, 1 Ac 3.93
Ac: 0.6928 0.2440 0.9368  2 Mg 3.39-3.61, 2 Al 3.40-3.51, 2 Ac 3.78
Ac: 0.6928 0.7560 0.4489  2 Mg 3.39-3.61, 2 Al 3.40-3.51, 2 Ac 3.78
Ac: 0.7628 0.0889 0.3261  3 Mg 3.43-3.62, 1 Al 3.56, 3 Ac 3.78
Ac: 0.7628 0.4367 0.6739  3 Mg 3.43-3.62, 1 Al 3.56, 3 Ac 3.78
Ac: 0.9342 0.7567 0.1776  1 Al 3.54, 3 Mg 3.62-3.71, 1 Ac 3.93
Mg: 0.0000 0.1337 0.1337  1 Mg 2.90
Mg: 0.0000 0.8663 0.8663  1 Mg 2.90
Mg: 0.1322 0.5000 0.6322  1 Mg 2.93
Mg: 0.8678 0.5000 0.3678  1 Mg 2.93
Al: 0.5000 0.0000 0.5000  8 Ac 3.40-3.56
Al: 0.5000 0.5000 0.0000  8 Ac 3.51-3.54

Calculated values
Total DFT energy (no corrections) ... -31.6 eV per formula unit
DFT formation energy ... -0.004 eV per atom
DOS at the Fermi energy ... 1.33 states/eV/atom
V ... 38.39 Å³ per atom

=====

[4]
-- stop --
[Back to the piece]

- Caveats and Practical Advice: Metz underscores the importance of aligning tests with the actual responsibilities in the codebase and being cautious of over-specifying tests that can hinder code evolution.

- Final Takeaways: By applying the right strategies, developers can transform their approach to testing, making it a supportive ally in their development process instead of a hindrance. She encourages sustained focus on simplicity amidst complexity, promising that with practice, tests can become reliable tools in software development rather than a source of frustration.

- - -
No. 1
LaTb8Tm2 | GGA-PBE | relaxed

a b c (Å): 5.528 10.252 10.252
angles (deg): 39.64 92.83 92.83
Atoms (fractional coordinates):
Tb: 0.239 0.547 0.547
Tb: 0.731 0.403 0.868
Tb: 0.731 0.868 0.403
Tb: 0.767 0.810 0.810
Tb: 0.269 0.132 0.597
Tb: 0.761 0.453 0.453
Tb: 0.269 0.597 0.132
Tb: 0.233 0.190 0.190
Tm: 0.250 0.715 0.715
Tm: 0.750 0.285 0.285
La: 0.000 0.000 0.000

energy above the lowest structure with this stoichiometry: 0.0134 eV/atom
V: 370.2 Å³/f.u.
calculated total energy: -49.4 eV per cell



No. 2
Be3Al | GGA-PBE | relaxed

a b c (Å): 2.674 3.686 4.296
angles (deg): 90.00 90.00 90.00
Atoms (fractional coordinates):
Be: 0.500 0.000 0.503
Be: 0.000 0.500 0.373
Be: 0.500 0.500 0.793
Al: 0.000 0.000 0.998

V: 42.3 Å³/f.u.
calculated total energy: -13.8 eV per cell



No. 3
MoRu2 | GGA-PBE | relaxed

a b c (Å): 5.045 5.045 5.045
angles (deg): 60.00 60.00 60.00
Atoms (fractional coordinates):
Mo: 0.250 0.250 0.250
Mo: 0.000 0.000 0.000
Ru: 0.125 0.625 0.625
Ru: 0.625 0.625 0.625
Ru: 0.625 0.125 0.625
Ru: 0.625 0.625 0.125

V: 45.4 Å³/f.u.
calculated total energy: -56.9 eV per cell



No. 4
Cd2Os2O7 | GGA-PBE | relaxed

a b c (Å): 5.448 5.966 5.966
angles (deg): 113.65 94.69 94.69
Atoms (fractional coordinates):
O: 0.292 0.613 0.926
O: 0.206 0.435 0.435
O: 0.708 0.387 0.074
O: 0.000 0.000 0.000
O: 0.794 0.565 0.565
O: 0.708 0.074 0.387
O: 0.292 0.926 0.613
Os: 0.890 0.263 0.263
Os: 0.110 0.737 0.737
Cd: 0.500 0.695 0.305
Cd: 0.500 0.305 0.695

energy above the lowest structure with this stoichiometry: 0.1410 eV/atom
raw formation energy: -0.88 eV/atom
V: 175.6 Å³/f.u.
calculated total energy: -68.7 eV per cell



No. 5
CoPbCl2 | GGA-PBE | relaxed

a b c (Å): 4.848 4.848 3.714
angles (deg): 90.00 90.00 90.00
Atoms (fractional coordinates):
Pb: 0.000 0.500 0.500
Co: 0.500 0.000 0.500
Cl: 0.000 0.000 0.000
Cl: 0.500 0.500 0.000

energy above the lowest structure with this stoichiometry: 0.6161 eV/atom
raw formation energy: 0.22 eV/atom
V: 87.3 Å³/f.u.
calculated total energy: -13.6 eV per cell



No. 6
CsTaTl2Cl | GGA-PBE | relaxed

a b c (Å): 6.668 5.470 6.668
angles (deg): 90.00 90.00 90.00
Atoms (fractional coordinates):
Tl: 0.000 0.000 0.500
Tl: 0.500 0.000 0.000
Cl: 0.500 0.500 0.500
Cs: 0.000 0.000 0.000
Ta: 0.000 0.500 0.000

raw formation energy: 1.67 eV/atom
V: 243.2 Å³/f.u.
calculated total energy: -11.0 eV per cell



No. 7
NaSmPtPb | GGA-PBE | relaxed

a b c (Å): 4.996 4.996 4.996
angles (deg): 60.00 60.00 60.00
Atoms (fractional coordinates):
Sm: 0.000 0.000 0.000
Pt: 0.750 0.750 0.750
Pb: 0.500 0.500 0.500
Na: 0.250 0.250 0.250

V: 88.2 Å³/f.u.
calculated total energy: -18.0 eV per cell



No. 8
RbLiIN2 | GGA-PBE | relaxed

a b c (Å): 4.904 4.904 5.677
angles (deg): 90.00 90.00 90.00
Atoms (fractional coordinates):
Li: 0.000 0.000 0.000
N: 0.500 0.000 0.000
N: 0.000 0.500 0.000
I: 0.000 0.000 0.500
Rb: 0.500 0.500 0.500

energy above the lowest structure with this stoichiometry: 0.0000 eV/atom
raw formation energy: 0.99 eV/atom
- - -
[Here the piece continues]

00:00:07.759 Hello everyone.
00:00:15.940 If you're attending the talk about magic tricks, I have a survey for you to complete before my talk begins.
00:00:21.510 I want to ensure I don't use my allotted time for this, so please feel free to discuss among yourselves.
00:00:27.160 I’m going to ask you a question and request an answer by a show of hands. Here’s the question:
00:00:34.230 What percentage of the code that you see is tested? This question is not about your own code, so you won’t have a conflict of interest.
00:00:39.670 Please consider how well the code you see is tested. Is it 100%, 80%, 60%, 40%, 20%, or 0%? Please raise your hand to indicate.
00:00:52.330 So if the code you see is 100% tested, please raise your hand. All right, how about 80%? Now, if the code you see is 60%, 40%, 20%, or 0%, raise your hand.
00:01:05.560 For those in the 50% or less category, please raise your hand. And now, let’s begin the talk.
00:01:11.979 We are the people who embrace testing; we are the clan that drank the Kool-Aid. This is our public persona. However, you don’t have to look far to realize that many perfectly legitimate members of our community express frustration with their tests.
00:01:23.819 Many of you might say, 'I hate my tests.' Why do you hate your tests? Because they kill your productivity; they are slow. You often find yourselves on Twitter, wondering when you’ll be back from waiting for those slow tests. They hold you back. You can make a small change in your application, and while the application still works perfectly fine, all your tests might break. Now, you must go fix all those tests before you can return to actual work. It feels like such a waste of time.
00:01:51.039 If your tests are slow and break every time you change something, it’s reasonable to start questioning their value. Everyone tells you that you should have them; they probably save you just enough to make you afraid to delete them entirely. However, the cold, hard truth is that they can make you miserable. If this resonates with you, you are not alone. For many, the promise of testing has not been fulfilled.
00:02:19.390 But it doesn't have to be this way; you can have cost-effective tests. Good tests aren’t magic; they are magic tricks, and since they are tricks, you can learn them. There are a few simple and straightforward tricks I’ll explain in the next 28 minutes. For many of you, this will involve reconsidering the number of tests you wrote or previously oversaw.
00:02:38.130 Often, we find ourselves writing too many tests or testing the wrong things. This causes frustration and dissatisfaction with the testing process. Today's talk will specifically focus on unit tests; the magic tricks apply to unit tests, not integration tests. Integration tests can be complex and difficult to manage.
00:03:09.519 In integration testing, you poke one side of your application, and a series of messages and changes flow through various objects before reaching the end. In contrast, unit tests narrow the focus down to a single object, allowing for precise validations of behavior. They help confirm that every individual piece behaves as expected.
00:03:40.780 To summarize, unit tests focus on the internal functionality of one object at a time. We want our unit tests to be thorough; we want them to logically prove that the object behaves correctly. This means we want them to remain stable, so that changes to implementation details don’t break the tests.
00:04:02.709 Additionally, we desire speed. Slow tests can hinder development, and maintaining the parsimony in our test code will allow us to focus on what matters. So, we seek thorough, stable, fast, and few unit tests.
00:04:28.110 Achieving this requires clarity of vision about your application. I invite you to do a thought experiment: close your eyes, if you need to. Imagine the application you're currently working on and visualize it running in memory; picture the objects and the messages passing between them.
00:04:51.420 For many of us, it looks like a complicated tangle of spaghetti code. When our applications appear this way, it’s no wonder that maintaining tests becomes a challenge as well. The way out of this thicket is through focusing on messages and employing the magic tricks I will share with you.
00:05:07.060 The objects we will be testing have a very straightforward perspective regarding messages. Each object operates as a black box, managing an internal state while only exposing a specific interface for communication.
00:05:27.060 An object knows about messages from three places: incoming messages from other objects, outgoing messages it sends to others, and messages it sends to itself. Incoming messages can breach the containment of the object, so the internal workings must be protected.
00:05:46.330 Outgoing messages must also uphold the same level of protection, making sure that the inside of an object does not get exposed. Self-sent messages are contained within the object's own boundaries, as they do not expose anything externally.
00:06:02.290 These messages come in two categories: queries and commands. A query message runs without side effects, while a command message has an effect but does not return a directly useful value. It's important to distinguish between the two types of messages for effective testing.
00:06:22.060 Some of you might have encountered situations where a message inadvertently acts as both a query and a command, leading to unforeseen consequences. This can create dependencies in your code, making it crucial to identify what type of message you are dealing with.
00:06:45.620 In our testing endeavors, we will now look at a grid that classifies messages into six different cells, each with its own testing rules. My goal is to walk you through how to populate this grid effectively.
00:07:04.620 We'll start with incoming query messages. For example, consider a bicycle class with a diameter method. This method is a query; it calculates and returns a result without causing any state changes. To test it, we will create a new instance and verify the returned value.
00:07:22.120 This assertion checks if the output is within a specified margin of error. It’s a direct comparison of results without concerning the internal operation of the method—resulting in a straightforward test.
00:07:47.760 Continuing with tests for incoming query messages, let’s consider a gear class that implements a gear_in_inches method. This method sends a private message to itself and another to a collaborating object, effectively returning a value while ensuring no side effects occur.
00:08:04.810 The approach to testing remains the same: we send the message and assert the value returned. This means testing the interface rather than focusing on the implementation details, allowing for safe refactoring later.
00:08:25.390 Now let’s discuss incoming command messages, such as a set_cog method in our gear class. This method takes an argument and modifies internal state, potentially returning a result. In this instance, we should test the command aspect of this method.
00:08:40.580 To test it, we’d send the message that triggers a change and follow that up with an assertion about the side effect caused. This indicates that incoming command messages should be tested by asserting the expected immediate outcomes.
00:09:04.160 Now we move into a crucial aspect: do not test private methods directly. If a public interface correctly relies on private methods, testing them only creates redundancies and can lead to fragility in your tests.
00:09:26.470 Instead of having tests that bind you to the current implementation, focus on what the public interface promises. Keep this in mind to allow for safer and easier refactoring of your code.
00:09:50.090 As we proceed with the second pattern, remember the core guideline: we should avoid making expectations on private messages unless absolutely necessary. It's essential to balance clarity and testing effectiveness.
00:10:10.030 Next, we’ll observe outgoing query messages—similar in testing rules to incoming query messages. An outgoing query, like sending a diameter message to another class, is also devoid of side effects and should be treated accordingly.
00:10:31.550 Testing the outgoing query message with assertions about the result is redundant; the incoming message does all the necessary work. So, we should avoid verifying the outgoing queries per the previously stated rules.
00:10:49.340 For outgoing command messages, let's say we have a set_cog method that not only modifies internal state but also sends a change message to an observer. The observer notices this change in real time and reacts accordingly.
00:11:22.230 This raises the question of testing: should we test the side effects created by this outgoing command message? Reach out to the observer message; this could lead to unnecessary integration tests that would bind us to distant side effects, compromising our unit tests.
00:11:43.890 Thus, instead, we should use mocks here to verify that calls to the relevant methods happen without needing to check what lies beyond. Ensuring that the closest edge is validated while observing stability in tests.
00:12:05.820 Mocking allows us to maintain that bounds of testing where we only assert the message sending, not the distant side effects. This practice should help keep our unit tests focused, fast, and reliable.
00:12:28.230 To summarize, testing rules for outgoing command messages state that we should use mocks for expectations, avoiding unnecessary bindings with intermediate objects when it can be easily avoided.
00:12:50.160 In conclusion, I encourage you to adopt these principles in your testing processes, aiming for simple, effective tests focusing on the essential aspects of your code, tailoring them to meet your team's needs as best as possible.
00:13:15.240 As the talk draws to a close, I want to thank you all for your time. Please keep exploring these magic tricks and remember that good testing can transform your development experience. Test quality can lead to an overall improvement in productivity and job satisfaction.
00:13:43.890 Ultimately, with practice and persistence, you can make testing your ally rather than a burden. Thank you!
Explore all talks recorded at RailsConf 2013